Sexual Reproductive Health for CEG (Middle School) Girls

Reproductive health is an official subject in the Togolese education system. However it often times gets overlooked or rushed at the end of the year due to exams. As a result for many young CEG girls, the basic knowledge about their changing bodies is left as mystery, Girls in CEG or “middle school” need to be taught the basics of reproductive health in order to better understand their bodies, and know how to combat harmful myths.


If what you want to do in village is educate girls on the basics of reproductive health, then this project can help you put together and implement a club or class.


There are certain things that need to be planned and considered in order to hold a sexual reproductive health class/club. Use the below mentioned steps to make sure that your class/club is a success.

  • Who should you contact in village to help you initiate this project? Having a counterpart in village who feels strongly about your idea, and is willing to partner with you to help implement it is important. (Because this activity deals with sensitive or even embarrassing issues, a female counterpart is an asset. Young girls will feel more comfortable discussing their bodies with a female counterpart.
  • Possible Partner Suggestions:
    • Primary Homologue
    • Hospital Staff
    • Affaire Social Staff (equivalent to a social worker)
    • Teacher
  • Choose the location of your event, picking a place that suites the specific needs of your class or club is important. The best location for either class or club will be the school, the students will already be familiar with the location.
  • Get the support of important members in the community for your club or class. Depending on the village, reproductive health can be a controversial topic, so make sure to find time to speak with your chief, Imam, priest, or hospital staff so that they can “bless” your club or class. More importantly you need the permission of the school, which means talking with your director and getting his/her “blessing” to have the class or club and use the school as a location.
  • Pick a date and time for your club or class. If you decide to make it a class versus a club, you will have to work with the school to find scheduled time weekly for your lesson. Making it a class also kind of makes it mandatory for students to attend. If you do a club instead you will need to pick a regular meeting time, whether weekly or monthly. Also consider how busy your possible participants will be with school work and house work, pick a day when they only have morning classes if you can. Make sure that your intended audience is actually available to attend your club/class.


Once you have tackled the above steps you are ready to start.



Make sure that any content you teach in your class has been cleared with your schools director to keep yourself from getting into any controversies.

Possible topics that should be discussed:

  • The steps and signs of puberty
  • How girls regulatory cycle works
  • The anatomy of the vagina
  • Common myths and misconceptions about puberty
  • Common myths and misconceptions about sex
  • The consequences of early pregnancy
  • Safe-sex practices
  • STIs and HIV/AIDS

*The above topics should be mostly covered in your CHAMP toolkit. Combine or separate the above sessions, gloss over them or go in to intimate detail, cover what your participants want to know. Hold copious amounts of Q&A’s after each session. Create a safe place to say what they want, the more open and trusting the atmosphere you create for the subject, the better it will go.

Attached: materials data
____________
1.
VASP calculation (PBE) on an optimized crystal structure of PmDy3.

abc: 3.6418 5.6915 6.2984
angles: 90.00 90.00 90.00
Fractional positions:
Pm  0.0000  0.0000  0.0000
Dy  0.0000  0.5000  0.3352
Dy  0.5000  0.0000  0.5016
Dy  0.5000  0.5000  0.8340

Crystal system: orthorhombic
Energy above the most stable polymorph in this dataset: 0.005 eV/atom
Symmetry: No. 25
ΔH_f (0 K): 0.0185 eV per atom
Raw total energy: -4.62 eV/atom
DOS at the Fermi energy: 6.96 states/eV per cell

---

2.
VASP calculation (PBE) on an optimized crystal structure of KYC.

abc: 4.0534 4.0534 6.1644
angles: 90.00 90.00 120.00
Fractional positions:
K  0.0000  0.0000  0.0000
Y  0.3333  0.6667  0.5000
C  0.6667  0.3333  0.5000

Crystal system: hexagonal
Energy above the most stable polymorph in this dataset: 0.619 eV/atom
Symmetry: No. 187
ΔH_f (0 K): 0.5528 eV per atom
Raw total energy: -5.04 eV/atom
DOS at the Fermi energy: 2.19 states/eV per cell

---

3.
VASP calculation (PBE) on an optimized crystal structure of Rb2PCl6O.

abc: 6.9252 6.9252 6.9252
angles: 115.54 115.54 97.92
Fractional positions:
Rb  0.2500  0.7500  0.5000
Rb  0.7500  0.2500  0.5000
P  0.0000  0.0000  0.0000
Cl  0.2186  0.2186  0.4373
Cl  0.2186  0.7814  0.0000
Cl  0.2446  0.2446  0.0000
Cl  0.7554  0.7554  0.0000
Cl  0.7814  0.2186  0.0000
Cl  0.7814  0.7814  0.5627
O  0.5000  0.5000  0.0000

Crystal system: tetragonal
Symmetry: No. 139
Uncorrected formation energy: -0.831 eV/atom
Raw total energy: -3.17 eV/atom
DOS at the Fermi energy: 7.68 states/eV per cell

---

4.
VASP calculation (PBE) on an optimized crystal structure of CaLaCo2.

abc: 3.9387 4.0856 12.9680
angles: 90.00 90.00 90.00
Fractional positions:
Ca  0.0000  0.0000  0.0000
Ca  0.5000  0.5000  0.5000
La  0.0000  0.5000  0.2572
La  0.5000  0.0000  0.7572
Co  0.0000  0.0000  0.4073
Co  0.0000  0.5000  0.8362
Co  0.5000  0.0000  0.3362
Co  0.5000  0.5000  0.9073

Crystal system: orthorhombic
Symmetry: No. 44
ΔH_f (0 K): 0.1221 eV per atom
Raw total energy: -5.16 eV/atom
DOS at the Fermi energy: 7.06 states/eV per cell

---

5.
VASP calculation (PBE) on an optimized crystal structure of Sc3FeOs.

abc: 4.6096 4.6096 4.6096
angles: 90.00 90.00 90.00
Fractional positions:
Sc  0.0000  0.0000  0.5000
Sc  0.0000  0.5000  0.0000
Sc  0.5000  0.0000  0.0000
Fe  0.0000  0.0000  0.0000
Os  0.5000  0.5000  0.5000

Crystal system: cubic
Energy above the most stable polymorph in this dataset: 0.021 eV/atom
Symmetry: No. 221
ΔH_f (0 K): 0.4606 eV per atom
Raw total energy: -7.28 eV/atom
DOS at the Fermi energy: 9.04 states/eV per cell

---

6.
VASP calculation (PBE) on an optimized crystal structure of Nd3Dy6Y2Tm.

abc: 6.2010 6.2010 11.8449
angles: 95.00 95.00 119.98
Fractional positions:
Nd  0.0000  0.0000  0.0000
Nd  0.3335  0.6665  0.0000
Nd  0.6665  0.3335  0.0000
Dy  0.0852  0.4176  0.2535
Dy  0.2501  0.2501  0.7464
Dy  0.4176  0.0852  0.2535
Dy  0.5824  0.9148  0.7465
Dy  0.7499  0.7499  0.2536
Dy  0.9148  0.5824  0.7465
Y  0.1667  0.8333  0.5000
____________
The materials data stop here

Having a homologue around for this project is very useful, however if your chosen homologue is not an expert in the subject of reproductive health, it can be helpful from time to time, to call on a health professional to come and elaborate on technical topics as they come up. You don’t want to give your participants poor or incorrect information.



  • When discussing the anatomy of the vagina and women’s regulatory cycle have images to show them, simple diagrams and images are endlessly useful. Find some online to print out or draw them yourself.
  • Create a comment and questions box, encourage the participants to ask questions any questions. Let them know that they can write out embarrassing or controversial questions and put them in the box anonymously. During the following session read and answer the questions
  • Use the True or False Brise-Glace to open up a discussion about common misconception and myths about sex or puberty. Have two signs made, one that says true, and one that says false. Place them on opposite sides of the room and have the participants stand in the center. Read each myth and let them choose whether the myth is true or false by walking to one of the two sides. Ask a person on each side to defend their choice and state why a myth is true or false.
  • HIV/AIDS discussions are very important, however more important than simply discussing the transmission of the disease is to discuss how to prevent it, and also how those who have the disease should be treated. Ask the participants to discuss what they would do if a stranger or distant acquaintance in village contracted HIV, then ask them what they would do if an immediate family member contracted HIV, finally ask them how they would want others to treat them if they contracted HIV.

Monitoring and Evaluation

This is a critical step in a project and something that should be considered a part of every project large or small.

For a sexual reproductive health club/class, make sure to send around a sign in sheet that takes down the name and ages of all the participants, this info is crucial for volunteer reporting.

A simple survey weekly or monthly survey that asks questions that pertain to the content of the session is an easy way to make sure that your participants are retaining information.


Other Resources – Comprehensive Information on Teaching Reproductive Health – Images of female reproductive anatomy